The Bekhterev-Jacobsohn reflex is also known as the “Jacobsohn finger flexion sign.” Dr. Vladimir Bekhterev (a Russian neurologist) and Dr. Louis Jacobsohn-Lask (a German neurologist) described the reflex in the early 1900s. The reflex is a clinical sign that can be easily elicited without the use of any equipment. The Bekhterev-Jacobsohn reflex describes abduction of the hand and flexion of the fingers when the distal radius is stroked. The reflex is very simple to complete and can be useful when trying to determine the localization of a lesion. The reflex is indicative of a lesion in the pyramidal tract of the upper limb. [rx]The Bekhterev Jacobson reflex is closely associated with the Bekhterev-Mendel reflex in the lower limb and is also similar to the Hoffman and Tromner sign in the upper limb, all of which are indicative of upper motor neuron pathology.[rx]
**Records of crystals from another source follow**
<<<
CoSb3: simulated powder XRD pattern (Cu Kα, 1.54184 Å), based on a DFT-relaxed cell (PBE, the Materials Project).

Atomic structure:
```
data_CoSb3
_chemical_formula_sum 'Co8 Sb24'
_cell_length_a 9.1152
_cell_length_b 9.1152
_cell_length_c 9.1152
_cell_angle_alpha 90.00
_cell_angle_beta 90.00
_cell_angle_gamma 90.00
_symmetry_space_group_name_H-M 'I m -3'
_symmetry_Int_Tables_number 204
_symmetry_space_group_name_Hall '-I 2 2 3'
loop_
_atom_site_label
_atom_site_type_symbol
_atom_site_fract_x
_atom_site_fract_y
_atom_site_fract_z
_atom_site_occupancy
Co1 Co 0.2500 0.2500 0.2500 1
Sb1 Sb 0.0000 0.3333 0.1595 1
```

The 10 most intense peaks (10° ≤ 2θ ≤ 80°), most intense first:
- 31.0 deg, rel. 100
- 36.9 deg, rel. 39
- 44.4 deg, rel. 24
- 59.1 deg, rel. 22
- 51.1 deg, rel. 21
- 70.0 deg, rel. 18
- 49.0 deg, rel. 17
- 46.7 deg, rel. 11
- 61.0 deg, rel. 9
- 42.1 deg, rel. 9

Hg3S2I2: simulated powder XRD pattern (Cu Kα, 1.54184 Å), based on a DFT-relaxed cell (PBE, the Materials Project).

Atomic structure:
```
data_Hg3S2I2
_chemical_formula_sum 'Hg24 S16 I16'
_cell_length_a 10.0247
_cell_length_b 19.4530
_cell_length_c 9.7752
_cell_angle_alpha 90.00
_cell_angle_beta 90.00
_cell_angle_gamma 90.00
_symmetry_space_group_name_H-M 'I m m a'
_symmetry_Int_Tables_number 74
_symmetry_space_group_name_Hall '-I 2b 2'
loop_
_atom_site_label
_atom_site_type_symbol
_atom_site_fract_x
_atom_site_fract_y
_atom_site_fract_z
_atom_site_occupancy
Hg1 Hg 0.0000 0.1161 0.0434 1
Hg2 Hg 0.2291 0.2500 0.5020 1
Hg3 Hg 0.2500 0.1010 0.7500 1
S1 S 0.2421 0.1248 0.9995 1
I1 I 0.0000 0.0007 0.7432 1
I2 I 0.0000 0.2500 0.2561 1
I3 I 0.0000 0.2500 0.7287 1
```

The 10 most intense peaks (10° ≤ 2θ ≤ 80°), most intense first:
- 31.5 deg, rel. 100
- 20.4 deg, rel. 31
- 35.8 deg, rel. 28
- 22.3 deg, rel. 26
- 27.1 deg, rel. 21
- 36.8 deg, rel. 21
- 24.2 deg, rel. 20
- 37.0 deg, rel. 20
- 12.6 deg, rel. 19
- 52.3 deg, rel. 14

ReS8NO2: simulated powder XRD pattern (Cu Kα, 1.54184 Å), based on a DFT-relaxed cell (PBE, the Materials Project).

Atomic structure:
```
data_ReS8NO2
_chemical_formula_sum 'Re2 S16 N2 O4'
_cell_length_a 7.8604
_cell_length_b 8.7462
_cell_length_c 10.2073
_cell_angle_alpha 83.88
_cell_angle_beta 77.62
_cell_angle_gamma 78.21
_symmetry_space_group_name_H-M 'P -1'
_symmetry_Int_Tables_number 2
_symmetry_space_group_name_Hall '-P 1'
loop_
_atom_site_label
_atom_site_type_symbol
_atom_site_fract_x
_atom_site_fract_y
_atom_site_fract_z
_atom_site_occupancy
Re1 Re 0.1048 0.4077 0.3875 1
S1 S 0.0100 0.5668 0.2168 1
S2 S 0.0166 0.2002 0.2804 1
S3 S 0.1189 0.2092 0.7399 1
S4 S 0.1358 0.1603 0.5510 1
S5 S 0.1904 0.5934 0.4813 1
S6 S 0.2224 0.1418 0.1253 1
S7 S 0.3992 0.3021 0.3215 1
S8 S 0.4409 0.1064 0.2140 1
N1 N 0.3259 0.6927 0.4700 1
O1 O 0.4238 0.4226 0.8831 1
O2 O 0.4569 0.6932 0.1133 1
```

The 10 most intense peaks (10° ≤ 2θ ≤ 80°), most intense first:
- 14.1 deg, rel. 100
- 13.3 deg, rel. 70
- 10.4 deg, rel. 45
- 11.7 deg, rel. 42
- 23.6 deg, rel. 22
>>>
**End of the records of crystals**
Anatomy and Physiology
The Bekhterev-Jacobsohn reflex is elicited by stroking the distal radius of the upper arm. The brachioradialis tendon is located in this area near the radial styloid process. The brachioradialis reflex with hyperreflexia is most likely a part of what is seen with the Bekhterev-Jacobsohn reflex. Therefore, the brachioradialis reflex will be discussed. The brachioradialis reflex is a deep tendon reflex with the C5-C6 nerve roots and the radial nerve involved in its circuitry.[rx] The reflex happens by the tap stretching the tendon, which stimulates receptors in the muscle group.[rx] These stimulated receptors then initiate the reflex arc that generates a message loop from the muscle to the spinal cord and back down to the muscle, which causes the muscle to twitch.[rx] The reflex arc generates a sensory impulse to the spinal cord through the sensory or afferent nerve pathway that synapses at the spinal cord and sends an impulse back via the motor or efferent nerve pathway, which contracts the muscle.[rx] In diseases causing hyperreflexia, there is disruption of impulses between the cerebral cortex and spinal cord that does not allow the cortex to send inhibitory impulses to the spinal cord; therefore, a crossing of reflexes and hyperreflexia are produced.[rx][rx] Hyperreflexia of the brachioradialis includes supination of the wrist (normal reflex) along with finger flexion (abnormal), which is also seen as part of the Bekhterev-Jacobsohn reflex.
The entry is interrupted by crystal structures
/*
Structure and calculated XRD peak list of Ac3InGa2Pd6 (the PBE geometry in Alexandria; Cu Kα X-rays).
Lines closer than 0.1° are merged.

Atomic structure:
```
data_Ac3InGa2Pd6
_chemical_formula_sum 'Ac3 In1 Ga2 Pd6'
_space_group_name_H-M_alt 'P -3 m 1'
_space_group_IT_number 164
_space_group_name_Hall '-P 3 2"'
_cell_length_a 5.9843
_cell_length_b 5.9843
_cell_length_c 8.9748
_cell_angle_alpha 90.00
_cell_angle_beta 90.00
_cell_angle_gamma 120.00
loop_
_atom_site_label
_atom_site_type_symbol
_atom_site_fract_x
_atom_site_fract_y
_atom_site_fract_z
_atom_site_occupancy
Ac1 Ac 0.0000 0.0000 0.0000 1
Ac2 Ac 0.3333 0.6667 0.6342 1
In1 In 0.0000 0.0000 0.5000 1
Ga1 Ga 0.3333 0.6667 0.0334 1
Pd1 Pd 0.1770 0.3541 0.2735 1
```

Most intense lines, 10 to 80 degrees two-theta, sorted by position:
h k l, Position (°2θ), I_rel
0 0 2, 19.8, 14.8
0 1 2, 26.3, 39.8
0 0 3, 29.9, 57.5
0 1 3, 34.6, 17.1
0 2 1, 36.1, 100.0
2 0 2, 40.2, 52.2
0 1 4, 44.0, 17.2
1 0 5, 54.1, 15.9
2 2 0, 62.0, 27.8
1 2 4, 63.0, 17.8
2 2 3, 70.4, 15.4
0 4 2, 76.5, 14.5

----------

No. 1
KBaNiF6: theoretical PXRD pattern (a wavelength of 1.5418 Å), based on a structure optimized by DFT (GGA+U).
Kinematic intensities with the Lorentz-polarization factor, no thermal factor.

Atomic structure:
```
data_KBaNiF6
_cell_length_a 6.4887
_cell_length_b 6.4887
_cell_length_c 8.0037
_cell_angle_alpha 90.00
_cell_angle_beta 90.00
_cell_angle_gamma 120.00
_symmetry_space_group_name_H-M 'P -3 1 c'
_symmetry_Int_Tables_number 163
_symmetry_space_group_name_Hall '-P 3 2c'
loop_
_atom_site_label
_atom_site_fract_x
_atom_site_fract_y
_atom_site_fract_z
K1 0.0000 0.0000 0.0000
Ba1 0.3333 0.6667 0.2500
Ni1 0.3333 0.6667 0.7500
F1 0.0856 0.4126 0.6173
```

Top 10 peaks for 10 to 90 degrees two-theta, low angle first:
- 2θ 15.77, d 5.619, I 548, (1 0 0)
- 2θ 22.21, d 4.002, I 296, (0 0 2)
- 2θ 27.36, d 3.260, I 999, (1 0 2)
- 2θ 27.49, d 3.244, I 1000, (1 1 0)
- 2θ 35.62, d 2.520, I 826, (1 1 2)
- 2θ 39.18, d 2.300, I 386, (2 0 2)
- 2θ 44.11, d 2.053, I 238, (3 -1 1)
- 2θ 48.56, d 1.875, I 819, (3 0 0)
- 2θ 53.83, d 1.703, I 558, (2 -1 4)
- 2θ 77.88, d 1.227, I 272, (4 1 0)

---

No. 2
Li8FeNi9O20: theoretical PXRD pattern (a wavelength of 1.5418 Å), based on a structure optimized by DFT (GGA+U).
Kinematic intensities with the Lorentz-polarization factor, no thermal factor.

Atomic structure:
```
data_Li8FeNi9O20
_cell_length_a 6.4755
_cell_length_b 7.6315
_cell_length_c 7.6517
_cell_angle_alpha 67.13
_cell_angle_beta 88.64
_cell_angle_gamma 89.00
_symmetry_space_group_name_H-M 'P -1'
_symmetry_Int_Tables_number 2
_symmetry_space_group_name_Hall '-P 1'
loop_
_atom_site_label
_atom_site_fract_x
_atom_site_fract_y
_atom_site_fract_z
Li1 0.0000 0.0000 0.0000
Li2 0.1024 0.4007 0.8993
Li3 0.2131 0.7891 0.7892
Li4 0.3115 0.2122 0.6910
Li5 0.5000 0.0000 0.5000
Fe1 0.0000 0.5000 0.5000
Ni1 0.0992 0.9029 0.3983
Ni2 0.2017 0.2996 0.2959
Ni3 0.3027 0.7014 0.1990
Ni4 0.3982 0.1006 0.0988
Ni5 0.5000 0.5000 0.0000
*/
End of the crystal structures
Indications of Bekhterev-Jacobsohn Reflex
The Bekhterev-Jacobsohn reflex can be used as an adjunct to the complete neurologic exam. It is helpful to aid in the diagnosis of pyramidal tract lesions, particularly in the upper limb. There are multiple clinical signs for pyramidal tract lesions in the lower limb, but not as many for the upper limb.[rx] The other signs that can also be helpful along with the Bekhterev-Jacobsohn reflex include the Hoffman sign and the Tromner sign, both of which correlate with upper motor neuron signs but reflect more of a cervical spine issue.[rx]
Contraindications of Bekhterev-Jacobsohn Reflex
Few contraindications exist for performing the Bekhterev-Jacobsohn reflex. An open wound on the radial portion of the forearm is the major contraindication. Severe or major swelling in the area may also limit the reflex. Dr. Jacobsohn noted that the reflex is even useful in a patient with hand contractures, which are not a contraindication for performing the reflex.
No equipment is needed to perform the Bekhterev-Jacobsohn reflex. A practitioner can use his or her hand/fingers to tap the patient’s wrist; however, he or she can also use a reflex hammer if it is convenient. There are many different types of reflex hammers, all of which can be used for this test. There should be a seat or bed where the patient can comfortably sit, so his or her arm is fully relaxed when the reflex is performed.
Any person properly trained to complete the Bekhterev-Jacobsohn reflex can perform the reflex. Physicians, medical students, physician assistants, medical assistants, and nurses are a few types of people who would be capable of performing the reflex. An inexperienced staff member should first observe the proper completion of the reflex or view an online tutorial of adequate technique for the Bekhterev-Jacobsohn reflex before performing the test. Practice and experience increase the likelihood of accurately obtaining and recognizing the response.
There is minimal preparation needed to complete the Bekhterev-Jacobsohn reflex. The patient should be relaxed, sitting, or lying in the supine position. The patient should be in a hospital gown without clothing covering the forearm and hand, so it is easily visible to the examiner. The practitioner should wash or sanitize his or her hands before performing the test. The examiner will need to stand on the side of the patient being tested in a position that they are easily able to hold the forearm and see the response in the hand and fingers of the patient.
The Bekhterev-Jacobsohn reflex is best performed with the patient sitting or lying in the supine position with both arms extended and relaxed. The patient needs to be relaxed without tension in his or her arms or wrists with the fingers extended. The practitioner stands on the side of the patient being tested and allows the patient’s arm to rest on the hand of the examiner so that the thumb is positioned on the outer side (or palm facing upward). The practitioner then taps on the lower end of the radius near the wrist. The examiner can tap the radius with his or her hand or finger or can use a reflex hammer that is held in the opposite hand. A positive (or abnormal) reflex is abduction of the wrist and definite flexion of the fingers, specifically focused on the distal interphalangeal joints. A negative (or normal) reflex is when the fingers remain extended without any flexion or movement of the fingers or wrist. The reflex can be completed as many times as needed to evaluate the response in the fingers or wrist.
- - -
Simulated X-ray diffraction stick pattern
Compound: Ce3Fe4Si4
Radiation: Cu Ka
Structure: DFT lattice parameters and positions (GGA-PBE)
Lines closer than 0.1° are merged.

Peak list (12 most intense, 10° ≤ 2θ ≤ 90°, by intensity)
Position (°2θ)	I (rel.)
35.54	100
24.93	57
39.91	56
57.71	38
30.65	35
43.90	29
63.83	28
47.63	24
75.24	20
80.70	19
54.49	18
60.82	9

Cell and atoms:
Lattice parameters (Å, degrees): 6.1869 6.1869 6.1869 109.47 109.47 109.47
Fractional coordinates of all 11 atoms:
Ce 0.0000 0.5000 0.5000
Ce 0.5000 0.0000 0.5000
Ce 0.5000 0.5000 0.0000
Fe 0.0000 0.0000 0.2562
Fe 0.0000 0.2562 0.0000
Fe 0.2562 0.0000 0.0000
Fe 0.7438 0.7438 0.7438
Si 0.0000 0.0000 0.6195
Si 0.0000 0.6195 0.0000
Si 0.3805 0.3805 0.3805
Si 0.6195 0.0000 0.0000

* * * * *

The following is a calculated powder diffractogram of Rb4Pm3FeO8. It was derived from a structure optimized by DFT (GGA+U), using Cu Kα X-rays.
Neutral-atom scattering factors, no anomalous dispersion.

Atomic structure:
Lattice parameters (Å, degrees): 7.7240 7.7240 7.7240 54.39 54.39 54.39
Fractional positions:
Rb: 0.0000 0.0000 0.0000
Rb: 0.0000 0.5000 0.5000
Rb: 0.5000 0.0000 0.5000
Rb: 0.5000 0.5000 0.0000
Pm: 0.0000 0.0000 0.5000
Pm: 0.0000 0.5000 0.0000
Pm: 0.5000 0.0000 0.0000
Fe: 0.5000 0.5000 0.5000
O: 0.2272 0.2272 0.2272
O: 0.2472 0.7138 0.7138
O: 0.2862 0.2862 0.7528
O: 0.2862 0.7528 0.2862
O: 0.7138 0.2472 0.7138
O: 0.7138 0.7138 0.2472
O: 0.7528 0.2862 0.2862
O: 0.7728 0.7728 0.7728

Main lines, most intense first (5 to 70 degrees two-theta):
- 34.54 deg, rel. 100
- 30.62 deg, rel. 78
- 27.18 deg, rel. 40
- 47.43 deg, rel. 35
- 51.80 deg, rel. 31
- 59.47 deg, rel. 28
- 55.53 deg, rel. 20
- 13.50 deg, rel. 17

* * * * *

Structure and calculated powder diffraction line list of LaZrMoO6 (a cell relaxed with GGA+U; λ = 1.5418 Å (Cu Kα)).
Lines closer than 0.1° are merged.

The 10 most intense peaks (10° ≤ 2θ ≤ 90°), by intensity:
| h k l | 2θ (°) | I_rel |
| --- | --- | --- |
| 1 1 0 | 25.1 | 100 |
| 1 0 3 | 31.8 | 84 |
| 2 1 3 | 48.6 | 67 |
| 2 0 0 | 35.8 | 21 |
| 3 0 3 | 61.8 | 19 |
| 2 2 0 | 51.5 | 18 |
| 1 1 6 | 60.5 | 16 |
| 3 1 0 | 58.1 | 16 |
| 3 2 3 | 73.5 | 14 |
| 4 1 3 | 84.5 | 12 |

Structure:
```
data_LaZrMoO6
_chemical_formula_sum 'La2 Zr2 Mo2 O12'
_cell_length_a 5.0216
_cell_length_b 5.0216
_cell_length_c 10.1730
_cell_angle_alpha 90.00
_cell_angle_beta 90.00
_cell_angle_gamma 90.00
_symmetry_space_group_name_H-M 'P 1'
_symmetry_Int_Tables_number 1
_symmetry_space_group_name_Hall 'P 1'
loop_
_atom_site_label
_atom_site_type_symbol
_atom_site_fract_x
_atom_site_fract_y
_atom_site_fract_z
La1 La 0.0000 0.0000 0.0000
La2 La 0.5000 0.5000 0.5000
Zr1 Zr 0.0000 0.0000 0.3421
Zr2 Zr 0.5000 0.5000 0.8421
Mo1 Mo 0.0000 0.0000 0.6708
Mo2 Mo 0.5000 0.5000 0.1708
O1 O 0.1739 0.1739 0.5115
O2 O 0.2084 0.2084 0.8160
O3 O 0.2287 0.2287 0.1916
O4 O 0.2713 0.7287 0.6916
O5 O 0.2916 0.7084 0.3160
O6 O 0.3261 0.6739 0.0115
O7 O 0.6739 0.3261 0.0115
O8 O 0.7084 0.2916 0.3160
- - -
There are seldom complications after performing the Bekhterev-Jacobsohn reflex. There may be bruising, pain or soreness after the reflex due to the tapping of the distal radius, but this is unusual.